Source >
┌──
This record from Alexandria describes an optimized crystal structure of Ti6Sn2HO. The functional is PBE.

abc: 5.9124 5.9124 5.9124
angles: 119.76 119.76 90.42
Last column: nearest neighbours and their distance in Å.
Fractional coordinates of all 10 atoms:
Ti (0.2451, 0.2451, 0.0000)  1 H 2.04, 1 O 2.12
Ti (0.2453, 0.2453, 0.4906)  1 H 2.06, 1 O 2.14
Ti (0.2453, 0.7547, 0.0000)  1 H 2.06, 1 O 2.14
Ti (0.7547, 0.2453, 0.0000)  1 H 2.06, 1 O 2.14
Ti (0.7549, 0.7549, 0.0000)  1 H 2.04, 1 O 2.12
Ti (0.7547, 0.7547, 0.5094)  1 H 2.06, 1 O 2.14
Sn (0.2500, 0.7500, 0.5000)  12 Ti 2.96-2.97
Sn (0.7500, 0.2500, 0.5000)  12 Ti 2.96-2.97
H (0.0000, 0.0000, 0.0000)  6 Ti 2.04-2.06
O (0.5000, 0.5000, 0.0000)  6 Ti 2.12-2.14

Values from the calculation:
**SG**: I4/mmm, No. 139
**E_tot**: -71.78 eV for the cell shown

=====

This record from Alexandria describes an optimized crystal structure of Y2CrPt. The functional is PBE.

abc: 4.2950 4.2950 18.8946
angles: 90.00 90.00 120.00
Last column: nearest neighbours and their distance in Å.
Fractional coordinates of all 12 atoms:
Y (0.0000, 0.0000, 0.0000)  3 Pt 2.98, 3 Cr 3.08
Y (0.0000, 0.0000, 0.1887)  3 Cr 3.03, 3 Pt 3.13
Y (0.3333, 0.6667, 0.6667)  3 Pt 2.98, 3 Cr 3.08
Y (0.3333, 0.6667, 0.8553)  3 Cr 3.03, 3 Pt 3.13
Y (0.6667, 0.3333, 0.3333)  3 Pt 2.98, 3 Cr 3.08
Y (0.6667, 0.3333, 0.5220)  3 Cr 3.03, 3 Pt 3.13
Cr (0.0000, 0.0000, 0.7636)  3 Pt 2.49
Cr (0.3333, 0.6667, 0.4303)  3 Pt 2.49
Cr (0.6667, 0.3333, 0.0970)  3 Pt 2.49
Pt (0.0000, 0.0000, 0.4210)  3 Cr 2.49
Pt (0.3333, 0.6667, 0.0877)  3 Cr 2.49
Pt (0.6667, 0.3333, 0.7544)  3 Cr 2.49

Values from the calculation:
**SG**: R3m, No. 160
**E_tot**: -89.22 eV for the cell shown
**Calculated formation energy**: -1.15 eV/f.u.

=====

This record from Alexandria describes an optimized crystal structure of CePrCdRu. The functional is PBE.

abc: 7.3245 7.3245 7.3245
angles: 90.00 90.00 90.00
Last column: nearest neighbours and their distance in Å.
Fractional coordinates of all 16 atoms:
Ce (0.0000, 0.0000, 0.0000)  4 Cd 3.17, 4 Ru 3.17
Ce (0.0000, 0.5000, 0.5000)  4 Cd 3.17, 4 Ru 3.17
Ce (0.5000, 0.0000, 0.5000)  4 Cd 3.17, 4 Ru 3.17
Ce (0.5000, 0.5000, 0.0000)  4 Cd 3.17, 4 Ru 3.17
Pr (0.0000, 0.0000, 0.5000)  4 Cd 3.17, 4 Ru 3.17
Pr (0.0000, 0.5000, 0.0000)  4 Cd 3.17, 4 Ru 3.17
Pr (0.5000, 0.0000, 0.0000)  4 Cd 3.17, 4 Ru 3.17
Pr (0.5000, 0.5000, 0.5000)  4 Cd 3.17, 4 Ru 3.17
Cd (0.2500, 0.2500, 0.7500)  4 Ce 3.17, 4 Pr 3.17
Cd (0.2500, 0.7500, 0.2500)  4 Ce 3.17, 4 Pr 3.17
Cd (0.7500, 0.2500, 0.2500)  4 Ce 3.17, 4 Pr 3.17
Cd (0.7500, 0.7500, 0.7500)  4 Pr 3.17, 4 Ce 3.17
Ru (0.2500, 0.2500, 0.2500)  4 Ce 3.17, 4 Pr 3.17
Ru (0.2500, 0.7500, 0.7500)  4 Ce 3.17, 4 Pr 3.17
Ru (0.7500, 0.2500, 0.7500)  4 Ce 3.17, 4 Pr 3.17
Ru (0.7500, 0.7500, 0.2500)  4 Ce 3.17, 4 Pr 3.17

Values from the calculation:
**SG**: F-43m, No. 216
**E_tot**: -85.42 eV for the cell shown
**Calculated formation energy**: -0.45 eV/f.u.

=====

This record from Alexandria describes an optimized crystal structure of Tb6C2Se3. The functional is PBE.

abc: 20.4005 20.4005 20.4005
angles: 10.68 10.68 10.68
Last column: nearest neighbours and their distance in Å.
Fractional coordinates of all 11 atoms:
Tb (0.0928, 0.0928, 0.0928)  3 C 2.60
Tb (0.1972, 0.1972, 0.1972)  3 C 2.52
Tb (0.3638, 0.3638, 0.3638)  6 Se 2.86-2.87
Tb (0.6362, 0.6362, 0.6362)  6 Se 2.86-2.87
Tb (0.8028, 0.8028, 0.8028)  3 C 2.52
Tb (0.9072, 0.9072, 0.9072)  3 C 2.60
C (0.4491, 0.4491, 0.4491)  6 Tb 2.52-2.60
C (0.5509, 0.5509, 0.5509)  6 Tb 2.52-2.60
Se (0.0000, 0.0000, 0.0000)  6 Tb 2.87
Se (0.2727, 0.2727, 0.2727)  6 Tb 2.86-2.94
Se (0.7273, 0.7273, 0.7273)  6 Tb 2.86-2.94

Values from the calculation:
**SG**: R-3m, No. 166
**E_tot**: -68.72 eV for the cell shown
**Energy relative to the elements, uncorrected**: -1095 meV/atom

=====

This record from Alexandria describes an optimized crystal structure of SmB4Pd3O12. The functional is PBE.

abc: 6.2556 6.2556 6.2556
angles: 102.95 102.95 102.95
└──
Wanted >
It remains to print everything above without altering anything.
Outcome >
This record from Alexandria describes an optimized crystal structure of Ti6Sn2HO. The functional is PBE.

abc: 5.9124 5.9124 5.9124
angles: 119.76 119.76 90.42
Last column: nearest neighbours and their distance in Å.
Fractional coordinates of all 10 atoms:
Ti (0.2451, 0.2451, 0.0000)  1 H 2.04, 1 O 2.12
Ti (0.2453, 0.2453, 0.4906)  1 H 2.06, 1 O 2.14
Ti (0.2453, 0.7547, 0.0000)  1 H 2.06, 1 O 2.14
Ti (0.7547, 0.2453, 0.0000)  1 H 2.06, 1 O 2.14
Ti (0.7549, 0.7549, 0.0000)  1 H 2.04, 1 O 2.12
Ti (0.7547, 0.7547, 0.5094)  1 H 2.06, 1 O 2.14
Sn (0.2500, 0.7500, 0.5000)  12 Ti 2.96-2.97
Sn (0.7500, 0.2500, 0.5000)  12 Ti 2.96-2.97
H (0.0000, 0.0000, 0.0000)  6 Ti 2.04-2.06
O (0.5000, 0.5000, 0.0000)  6 Ti 2.12-2.14

Values from the calculation:
**SG**: I4/mmm, No. 139
**E_tot**: -71.78 eV for the cell shown

=====

This record from Alexandria describes an optimized crystal structure of Y2CrPt. The functional is PBE.

abc: 4.2950 4.2950 18.8946
angles: 90.00 90.00 120.00
Last column: nearest neighbours and their distance in Å.
Fractional coordinates of all 12 atoms:
Y (0.0000, 0.0000, 0.0000)  3 Pt 2.98, 3 Cr 3.08
Y (0.0000, 0.0000, 0.1887)  3 Cr 3.03, 3 Pt 3.13
Y (0.3333, 0.6667, 0.6667)  3 Pt 2.98, 3 Cr 3.08
Y (0.3333, 0.6667, 0.8553)  3 Cr 3.03, 3 Pt 3.13
Y (0.6667, 0.3333, 0.3333)  3 Pt 2.98, 3 Cr 3.08
Y (0.6667, 0.3333, 0.5220)  3 Cr 3.03, 3 Pt 3.13
Cr (0.0000, 0.0000, 0.7636)  3 Pt 2.49
Cr (0.3333, 0.6667, 0.4303)  3 Pt 2.49
Cr (0.6667, 0.3333, 0.0970)  3 Pt 2.49
Pt (0.0000, 0.0000, 0.4210)  3 Cr 2.49
Pt (0.3333, 0.6667, 0.0877)  3 Cr 2.49
Pt (0.6667, 0.3333, 0.7544)  3 Cr 2.49

Values from the calculation:
**SG**: R3m, No. 160
**E_tot**: -89.22 eV for the cell shown
**Calculated formation energy**: -1.15 eV/f.u.

=====

This record from Alexandria describes an optimized crystal structure of CePrCdRu. The functional is PBE.

abc: 7.3245 7.3245 7.3245
angles: 90.00 90.00 90.00
Last column: nearest neighbours and their distance in Å.
Fractional coordinates of all 16 atoms:
Ce (0.0000, 0.0000, 0.0000)  4 Cd 3.17, 4 Ru 3.17
Ce (0.0000, 0.5000, 0.5000)  4 Cd 3.17, 4 Ru 3.17
Ce (0.5000, 0.0000, 0.5000)  4 Cd 3.17, 4 Ru 3.17
Ce (0.5000, 0.5000, 0.0000)  4 Cd 3.17, 4 Ru 3.17
Pr (0.0000, 0.0000, 0.5000)  4 Cd 3.17, 4 Ru 3.17
Pr (0.0000, 0.5000, 0.0000)  4 Cd 3.17, 4 Ru 3.17
Pr (0.5000, 0.0000, 0.0000)  4 Cd 3.17, 4 Ru 3.17
Pr (0.5000, 0.5000, 0.5000)  4 Cd 3.17, 4 Ru 3.17
Cd (0.2500, 0.2500, 0.7500)  4 Ce 3.17, 4 Pr 3.17
Cd (0.2500, 0.7500, 0.2500)  4 Ce 3.17, 4 Pr 3.17
Cd (0.7500, 0.2500, 0.2500)  4 Ce 3.17, 4 Pr 3.17
Cd (0.7500, 0.7500, 0.7500)  4 Pr 3.17, 4 Ce 3.17
Ru (0.2500, 0.2500, 0.2500)  4 Ce 3.17, 4 Pr 3.17
Ru (0.2500, 0.7500, 0.7500)  4 Ce 3.17, 4 Pr 3.17
Ru (0.7500, 0.2500, 0.7500)  4 Ce 3.17, 4 Pr 3.17
Ru (0.7500, 0.7500, 0.2500)  4 Ce 3.17, 4 Pr 3.17

Values from the calculation:
**SG**: F-43m, No. 216
**E_tot**: -85.42 eV for the cell shown
**Calculated formation energy**: -0.45 eV/f.u.

=====

This record from Alexandria describes an optimized crystal structure of Tb6C2Se3. The functional is PBE.

abc: 20.4005 20.4005 20.4005
angles: 10.68 10.68 10.68
Last column: nearest neighbours and their distance in Å.
Fractional coordinates of all 11 atoms:
Tb (0.0928, 0.0928, 0.0928)  3 C 2.60
Tb (0.1972, 0.1972, 0.1972)  3 C 2.52
Tb (0.3638, 0.3638, 0.3638)  6 Se 2.86-2.87
Tb (0.6362, 0.6362, 0.6362)  6 Se 2.86-2.87
Tb (0.8028, 0.8028, 0.8028)  3 C 2.52
Tb (0.9072, 0.9072, 0.9072)  3 C 2.60
C (0.4491, 0.4491, 0.4491)  6 Tb 2.52-2.60
C (0.5509, 0.5509, 0.5509)  6 Tb 2.52-2.60
Se (0.0000, 0.0000, 0.0000)  6 Tb 2.87
Se (0.2727, 0.2727, 0.2727)  6 Tb 2.86-2.94
Se (0.7273, 0.7273, 0.7273)  6 Tb 2.86-2.94

Values from the calculation:
**SG**: R-3m, No. 166
**E_tot**: -68.72 eV for the cell shown
**Energy relative to the elements, uncorrected**: -1095 meV/atom

=====

This record from Alexandria describes an optimized crystal structure of SmB4Pd3O12. The functional is PBE.

abc: 6.2556 6.2556 6.2556
angles: 102.95 102.95 102.95